Completed neighbourhood bordering Sochi 2014 Winter Olympics Park

Completed neighbourhood bordering Sochi 2014 Winter Olympics Park For decades a seaside resort perfect for a Soviet-style summer holiday but little known outside of Russia, Sochi has undergone a makeover in six years to make it a world-class winter sports hub capable of hosting the Olympics in 100 days.
Until Russia was granted the right to host the Winter Olympics in 2007, Sochi had only the most basic infrastructure for alpine sports in its mountains and seemed caught in a hangover left over from the USSR on its Black Sea coast.
'''
12 unconnected molecules or ions with the total composition C48H105F9O24. Source: OMol25; level of theory: the ωB97M-V functional and the def2-TZVPD basis.

- Maximum force: 0.1041 hartree/bohr
- ΔE to the lowest compared entry with this formula, charge and spin: 0.0 kJ/mol
- E: -125059.707 eV
- Frontier orbital gap: 9.61 eV
- Charge: 0
- SMILES: CCOC(=O)C(F)(F)F.CCOC(=O)C(F)(F)F.CCOC(=O)C(F)(F)F.COCCOC.COCCOC.COCCOC.COCCOC.COCCOC.COCCOC.COCCOC.COCCOC.COCCOC

Last column: Löwdin charge in e.
Atoms and positions in Å:
1 F 9.46378 3.65436 -1.15266  0.13
2 F -2.50755 -1.27231 1.38723  0.15
3 F 0.08343 -4.66189 -0.15642  0.15
4 F 1.63815 -6.08980 0.47282  0.13
5 F 7.33022 4.45267 -0.97450  0.16
6 F -1.48009 -2.21643 -0.26824  0.18
7 F -2.40522 -0.37115 -0.63712  0.19
8 F 2.17125 -3.98113 0.12403  0.16
9 F 7.76561 2.34838 -1.30862  0.19
10 O 3.36023 4.04424 -5.69401  -0.21
11 O 4.55539 -1.41206 3.16711  -0.22
12 O 2.10910 4.90660 -1.30775  -0.21
13 O -0.95460 4.43524 1.96807  -0.19
14 O -6.16171 -3.18881 -2.65007  -0.18
15 O 8.22804 3.98865 1.61965  0.13
16 O -0.65325 2.25292 -4.62091  -0.16
17 O -0.35616 -3.58889 2.15853  -0.07
18 O -3.51565 1.04001 2.99148  -0.22
19 O -4.12810 2.16769 -3.54414  -0.18
20 O -6.63858 -0.67346 -1.01667  -0.18
21 O 0.37855 -0.80662 1.22910  0.15
22 O -3.66006 -6.79231 1.20133  -0.20
23 O -1.76517 0.05233 5.22721  -0.18
24 O 0.82212 -5.85049 -3.30853  -0.19
25 O -0.34353 0.98525 0.08105  -0.01
26 O 3.20430 4.73641 1.35370  -0.18
27 O 1.64545 -4.69910 2.89684  0.12
28 O -6.55652 -7.67229 0.74505  -0.22
29 O 4.01975 1.56510 -4.21873  -0.19
30 O -0.66287 -2.31454 -3.69839  -0.19
31 O 2.54377 -0.04661 6.07136  -0.16
32 O -3.54536 4.19852 0.18446  -0.18
33 O 8.16629 1.78099 1.00099  0.05
34 C -5.03021 1.18351 -3.16207  -0.14
35 C -1.23877 -4.73170 4.21765  -0.04
36 C -4.73115 -3.22393 -2.50532  -0.06
37 C 0.48365 -1.61341 -3.16089  -0.10
38 C 8.27055 1.35111 2.39502  -0.19
39 C -0.91434 -3.32123 3.52221  -0.12
40 C -4.22996 3.51409 -0.79383  -0.16
41 C -2.23055 4.63834 -0.27617  -0.13
42 C -3.16497 -0.35725 5.42200  -0.07
43 C 4.56905 3.37657 -5.90549  -0.21
44 C -1.41722 5.30583 0.92037  -0.16
45 C 8.16905 3.42653 -0.71820  -0.53
46 C -5.96779 -6.91907 1.87106  -0.12
47 C -6.53273 -2.01500 -0.44989  -0.17
48 C 1.99348 1.30641 -0.63826  -0.04
49 C -0.60637 -3.75735 -3.35534  -0.18
50 C 8.20925 3.08538 0.79570  -0.38
51 C -4.62923 1.88182 2.77761  -0.09
52 C -0.23420 -6.78599 -3.66170  -0.08
53 C 2.70058 4.41665 -6.89161  -0.10
54 C 3.09805 4.40821 -2.29092  -0.07
55 C 3.68524 5.72561 0.49917  -0.24
56 C -1.76202 -1.05382 0.27278  -0.57
57 C -2.21967 1.63924 3.37030  -0.14
58 C 0.84546 1.86718 0.25367  -0.12
59 C 3.12567 -0.08321 4.79262  -0.22
60 C -1.02406 5.04721 3.23317  -0.12
61 C 3.75573 -1.47137 1.91835  -0.04
62 C 0.83939 -4.38644 1.99676  -0.26
63 C 7.57336 0.04458 2.56126  -0.08
64 C -4.73613 -6.05071 1.41544  -0.28
65 C 3.08125 0.97284 6.87679  -0.11
66 C 3.88146 -1.43901 4.42964  -0.16
'''
But with Russia vowing to adhere to the IOC's stringent demands for hosting 2014 Winter Olympics, everything is transformed in a city where the majority of the facilities had to be built from scratch.
The result is clear the moment a visitor arrives at the airport, which is itself brand new. The Olympic rings have been installed opposite the building with the Caucasus mountains beyond.
Many of the roads are new. A new passenger railway link extends from the airport to the mountains. New electricity stations had to be constructed. New buildings have sprung up to house hotels and offices. And this is before even mentioning the sports facilities.
"Everything has changed, the face of the city, the people, the ambiance," said Sochi resident of 15 years Nikolai Biryukov. "The city has truly undergone a metamorphosis."
'No other example in the world'
The most imposing sports facilities are those in the Olympic park on the Black Sea, were built in a little-developed neighbourhood that previously had residential homes and a large communal farm.
Five modern buildings which will house ice rink sports like ice hockey, figure skating, short-track and curling surround the Fisht stadium which is still under construction and will house the opening and closing ceremonies.
In total, the coastal sites can accommodate some 70,000 people and spread out over 256 hectares. Workers are still putting the finishing touches to the complex, particularly the roads and green spaces.
Some 50 kilometres away in the mountains above Sochi is the once-sleepy resort of Krasnaya Polyana, which will host the alpine skiing, ski jumping and sliding sports like bobsleigh. The facilities themselves are ready but other buildings like hotels and other accommodation, are still under construction.
The coastal site and mountain complex are linked by a new road and railway route that has already been tested and which should be officially opened by the end of the year.
The particularity of Sochi is "its compactness and the link between the sea and the mountains, within this small space," said Russian urban planner Oleg Kozinsky who is based in Sochi.
"I do not know of another example in the world where it has been possible to create sporting and urban infrastructure in such a short timeframe," he said.
Kozinsky acknowledged that the ambition of the project had "posed certain problems for the environment" and ecologists have decried the damage done in particular by mountain road construction, which required 77 bridges and 12 tunnels built right near protected nature reserves.
The speed of the urbanisation has created an "understandable urban shock," he said.
For some Sochi residents, the huge work undertaken for the Winter Olympics has dealt a blow to the city whose development as a balmy seaside resort began at the end of the 19th century in Tsarist Russia.
In Soviet times two weeks summer relaxation in one of dozens of spas of the resort was seen as a prestigious break for the bureaucratic elite and top workers.
"Before it was very beautiful and Sochi was a true spa town and many people came for that," said Mikhail Karamanyan, 18.
"But now it has gotten really ugly. They have transformed the city into a megapolis. Before it really was very pretty," he said.
Source: AFP